Views expressed in opinion columns are the author’s own.

After an official groundbreaking ceremony on Monday, the Purple Line is now under construction. Over two decades of planning and debate have gone into the project thus far, but there is an end in sight, as service on the Purple Line is expected to begin in spring of 2022. The light-rail system will span over 16 miles and feature 21 new stations, three of which will cut directly through the University of Maryland campus.

The construction of this transit line has been highly controversial, and the official start of the project has upset some residents of the D.C. area. What dissenters fail to realize, though, is that the Purple Line will benefit the region far more than it would hurt it. The Purple Line Project estimates it will generate over 6,300 jobs throughout the construction process. It will also allow low-income areas access to a reliable, relatively inexpensive form of public transportation. This connection will also bring more outsiders into disadvantaged areas, guaranteeing more traffic to local businesses.

In similar situations in the past, this dynamic has raised housing prices and caused neighborhood gentrification that forces residents out of their homes. In an effort to remedy this, the University of Maryland partnered with members of local communities to create the Purple Line Community Compact, which proposes an economic plan for community development along with strategies to ensure residents will not be displaced. This plan suggests ways to support local businesses and provide struggling residents with jobs. Paired with the presence of the Purple Line, this plan will play a major role in the stabilization and betterment of neighborhoods that otherwise would not obtain this outside investment.

As a student, the prospect of having a quicker way to navigate the area is exciting. The Purple Line offers a more direct route to popular areas like Silver Spring and will heavily reduce traffic on other Metro lines, making the train cars less crowded. I live near the New Carrollton station and have to travel 20 Metro stops to return home from College Park. However, once the Purple Line is constructed, there will only be one stop between the two stations, greatly simplifying my commute and the commutes of many others who live or work near the new stations.

Next to the piece, the page also holds records of crystals:
+++
DFT (PBE) results for an optimized crystal structure of SrYTl.

Computed properties:
Energy of formation ... -222 meV per atom
Energy above the most stable polymorph in this dataset ... 84.8 meV per atom
Total energy ... -3.726 eV/atom
Crystal system ... tetragonal

Unit cell a=3.977 b=3.977 c=12.974 alpha=90.00 beta=90.00 gamma=90.00
Fractional positions:
Sr1 0.000 0.000 0.000
Sr2 0.000 0.000 0.324
Y1 0.000 0.000 0.623
Y2 0.500 0.500 0.785
Tl1 0.500 0.500 0.155
Tl2 0.500 0.500 0.497

DFT (PBE) results for an optimized crystal structure of SrY2Tl.

Computed properties:
Energy of formation ... 27 meV per atom
Energy above the most stable polymorph in this dataset ... 181.6 meV per atom
Total energy ... -4.217 eV/atom
Crystal system ... monoclinic

Unit cell a=6.969 b=12.014 c=3.586 alpha=90.00 beta=117.90 gamma=90.00
Fractional positions:
Sr1 0.000 0.000 0.000
Sr2 0.500 0.500 0.000
Y1 0.250 0.250 0.500
Y2 0.250 0.750 0.500
Y3 0.750 0.250 0.500
Y4 0.750 0.750 0.500
Tl1 0.000 0.500 0.000
Tl2 0.500 0.000 0.000

DFT (PBE) results for an optimized crystal structure of SrYTl.

Computed properties:
Energy of formation ... 509 meV per atom
Energy above the most stable polymorph in this dataset ... 815.8 meV per atom
Total energy ... -2.995 eV/atom
Crystal system ... hexagonal

Unit cell a=5.585 b=5.585 c=11.793 alpha=90.00 beta=90.00 gamma=120.00
Fractional positions:
Sr1 0.333 0.667 0.250
Sr2 0.667 0.333 0.750
Y1 0.000 0.000 0.000
Y2 0.000 0.000 0.500
Tl1 0.000 0.000 0.250
Tl2 0.000 0.000 0.750

DFT (PBE) results for an optimized crystal structure of SrYTl.

Computed properties:
Energy of formation ... -248 meV per atom
Energy above the most stable polymorph in this dataset ... 58.4 meV per atom
Total energy ... -3.752 eV/atom
Crystal system ... orthorhombic

Unit cell a=4.046 b=17.684 c=5.700 alpha=90.00 beta=90.00 gamma=90.00
Fractional positions:
Sr1 0.000 0.076 0.250
Sr2 0.000 0.924 0.750
Sr3 0.500 0.424 0.750
Sr4 0.500 0.576 0.250
Y1 0.000 0.229 0.750
Y2 0.000 0.771 0.250
Y3 0.500 0.271 0.250
Y4 0.500 0.729 0.750
Tl1 0.000 0.406 0.250
Tl2 0.000 0.594 0.750
Tl3 0.500 0.094 0.750
Tl4 0.500 0.906 0.250

DFT (PBE) results for an optimized crystal structure of SrY2Tl.

Computed properties:
Energy of formation ... -133 meV per atom
Energy above the most stable polymorph in this dataset ... 21.9 meV per atom
Total energy ... -4.377 eV/atom
Crystal system ... tetragonal

Unit cell a=3.775 b=3.775 c=9.565 alpha=90.00 beta=90.00 gamma=90.00
Fractional positions:
Sr1 0.000 0.000 0.000
Y1 0.000 0.000 0.444
Y2 0.500 0.500 0.685
Tl1 0.500 0.500 0.242

DFT (PBE) results for an optimized crystal structure of SrY2Tl.

Computed properties:
Energy of formation ... -72 meV per atom
Energy above the most stable polymorph in this dataset ... 82.9 meV per atom
Total energy ... -4.316 eV/atom
Crystal system ... tetragonal

Unit cell a=3.732 b=3.732 c=9.921 alpha=90.00 beta=90.00 gamma=90.00
Fractional positions:
Sr1 0.000 0.000 0.000
Y1 0.500 0.500 0.304
+++

Those who oppose the project claim that it is too expensive, considering the impact it will have on the community. For those who remain unimpressed by the long-term economic benefits of the light-rail system for local communities, the Purple Line will also bring an environmental benefit. The line will be operated using electricity, so no harmful emissions will be expelled into the surrounding area. The Purple Line will also give many people the opportunity to travel without driving cars. It will save a million gallons of gas per year, according to official projections.

The Purple Line will offer convenience, environmental benefits and economic advantages to Washington and its surrounding neighborhoods, many of which are in dire need of revitalization.

Sydney Wess is a junior broadcast journalism and art history major. She can be reached at